[Request]
Give back the lines below up to the one that holds "-2.141", that line included.
[Contents]
____________
--- one ---
Entry from the OMol25 dataset: a cluster of 2 separate species, C11H17N4 in total (the ωB97M-V functional and the def2-TZVPD basis).

Each line ends with the Mulliken charge.
Cartesian coordinates (Å):
1 C 3.957 1.754 0.047  -1.337
2 C 0.285 1.457 0.661  -0.351
3 C 1.453 2.238 0.512  1.002
4 C 2.560 1.352 0.093  0.336
5 C 2.023 0.131 0.036  -0.262
6 C -0.955 2.017 0.989  -0.892
7 C -0.882 3.418 1.089  -0.214
8 C 0.208 4.164 1.020  -0.584
9 C 1.442 3.593 0.603  -0.414
10 N 0.597 0.201 0.369  0.012
11 H -1.791 1.436 0.981  0.535
12 H -2.006 3.795 1.230  0.179
13 H 0.062 -0.545 0.875  0.266
14 H 0.159 5.304 1.183  0.302
15 H 2.377 -0.989 -0.016  0.219
16 H 2.324 4.331 0.610  0.225
17 H 4.274 2.717 0.506  0.318
18 H 4.256 1.634 -1.033  0.291
19 H 4.568 1.074 0.588  0.366
20 C -3.509 -3.395 0.003  -0.998
21 C -1.250 -2.919 -1.024  0.494
22 N -2.033 -3.569 -0.107  -0.214
23 N -1.696 -1.867 -1.780  -0.382
24 N -0.013 -3.503 -1.222  -0.491
25 H -1.779 -4.225 0.756  0.358
26 H -2.823 -1.626 -1.874  0.308
27 H -1.016 -1.207 -2.141  0.251
28 H 0.049 -3.749 -2.285  0.334
29 H 0.729 -2.930 -0.867  0.288
30 H -4.023 -3.733 -0.868  0.368
31 H -3.802 -2.357 0.277  0.348
32 H -3.745 -4.001 0.790  0.338

orbital gap	6.426	eV
charge	+1

***

--- two ---
Entry from the OMol25 dataset: a cluster of 2 separate species, C11H17N4 in total (the ωB97M-V functional and the def2-TZVPD basis).

Each line ends with the Mulliken charge.
Cartesian coordinates (Å):
1 C -3.293 0.165 -0.446  -0.464
2 C -2.892 -0.571 0.584  0.346
3 C -1.999 1.438 0.880  -0.983
4 C 2.389 1.026 1.698  -0.532
5 C 3.238 0.218 0.957  -0.455
6 C 1.156 1.331 -0.441  -0.174
7 C 1.271 1.567 0.950  -0.374
8 C 2.930 -0.142 -0.436  0.319
9 C 2.135 -2.354 -1.595  -1.042
10 C -3.081 2.508 -1.023  -0.949
11 C 2.712 -1.772 -0.224  -0.922
12 N 1.911 0.472 -1.079  -0.394
13 N -2.677 1.371 -0.305  0.528
14 N -1.897 0.125 1.261  0.091
15 N -3.062 -1.912 0.872  -0.546
16 H -4.190 -0.212 -0.923  0.269
17 H 2.535 1.212 2.762  0.462
18 H 4.044 -0.275 1.422  0.462
19 H 0.414 1.815 -1.077  0.449
20 H 0.661 2.242 1.395  0.648
21 H 3.733 -0.406 -1.180  0.409
22 H 1.497 -3.213 -1.313  0.331
23 H 2.976 -2.701 -2.194  0.334
24 H 1.632 -1.567 -2.066  0.395
25 H -2.395 3.337 -0.979  0.325
26 H -3.014 2.194 -2.078  0.346
27 H -4.169 2.733 -0.638  0.302
28 H 3.657 -2.136 0.039  0.488
29 H 2.055 -1.885 0.569  0.516
30 H -1.425 -0.212 2.118  0.280
31 H -3.974 -2.181 0.600  0.270
32 H -2.879 -2.214 1.888  0.262

orbital gap (alpha / beta)	4.463 / 4.462	eV
charge	+1

***

Stability summary: most stable one, least stable two.

***

--- one ---
Entry from the OMol25 dataset: a structure of composition C3H12BrN6O3 (the ωB97M-V functional and the def2-TZVPD basis).

Each line ends with the Mulliken charge.
Cartesian coordinates (Å):
1 Br -4.737 4.959 6.248  -1.153
2 C -5.224 1.704 5.213  0.532
3 O -5.350 0.528 5.064  -0.686
4 N -6.244 2.486 5.467  -0.221
5 N -4.063 2.312 5.054  -0.177
6 H -6.024 3.470 5.405  0.160
7 H -7.172 2.195 5.742  0.171
8 H -3.297 1.926 4.520  0.162
9 H -3.795 3.206 5.441  0.232
10 C -2.868 4.132 8.543  0.461
11 O -2.125 3.835 9.504  -0.766
12 N -2.468 5.099 7.693  -0.292
13 N -3.979 3.531 8.303  -0.251
14 H -1.879 5.907 7.833  0.196
15 H -3.057 5.048 6.873  0.221
16 H -4.180 2.675 8.800  0.168
17 H -4.514 3.853 7.509  0.309
18 C -6.567 7.559 4.964  0.531
19 O -7.191 8.549 4.602  -0.767
20 N -6.677 7.036 6.132  -0.284
21 N -5.758 6.953 4.203  -0.313
22 H -7.139 7.660 6.778  0.191
23 H -6.053 6.310 6.455  0.189
24 H -5.351 6.197 4.735  0.164
25 H -6.031 6.893 3.233  0.226

orbital gap	8.965	eV
charge	-1

***

--- two ---
Entry from the OMol25 dataset: a cluster of 4 separate species, C3H12BrN6O3 in total (the ωB97M-V functional and the def2-TZVPD basis).

Each line ends with the Mulliken charge.
Cartesian coordinates (Å):
1 Br -26.374 -0.308 -7.753  -0.877
2 C -29.245 0.154 -4.901  0.578
3 O -28.705 -0.912 -5.065  -0.502
4 N -29.887 0.462 -3.715  -0.486
5 N -29.157 1.168 -5.820  -0.328
____________
[Outcome]
--- one ---
Entry from the OMol25 dataset: a cluster of 2 separate species, C11H17N4 in total (the ωB97M-V functional and the def2-TZVPD basis).

Each line ends with the Mulliken charge.
Cartesian coordinates (Å):
1 C 3.957 1.754 0.047  -1.337
2 C 0.285 1.457 0.661  -0.351
3 C 1.453 2.238 0.512  1.002
4 C 2.560 1.352 0.093  0.336
5 C 2.023 0.131 0.036  -0.262
6 C -0.955 2.017 0.989  -0.892
7 C -0.882 3.418 1.089  -0.214
8 C 0.208 4.164 1.020  -0.584
9 C 1.442 3.593 0.603  -0.414
10 N 0.597 0.201 0.369  0.012
11 H -1.791 1.436 0.981  0.535
12 H -2.006 3.795 1.230  0.179
13 H 0.062 -0.545 0.875  0.266
14 H 0.159 5.304 1.183  0.302
15 H 2.377 -0.989 -0.016  0.219
16 H 2.324 4.331 0.610  0.225
17 H 4.274 2.717 0.506  0.318
18 H 4.256 1.634 -1.033  0.291
19 H 4.568 1.074 0.588  0.366
20 C -3.509 -3.395 0.003  -0.998
21 C -1.250 -2.919 -1.024  0.494
22 N -2.033 -3.569 -0.107  -0.214
23 N -1.696 -1.867 -1.780  -0.382
24 N -0.013 -3.503 -1.222  -0.491
25 H -1.779 -4.225 0.756  0.358
26 H -2.823 -1.626 -1.874  0.308
27 H -1.016 -1.207 -2.141  0.251